
Sometimes, you just know something is too good to be true... and so it proved with this one. I found this one on eBay going for £50 or thereabouts and (obviously) put it on my 'Watch List'. And then promptly forgot about it. Then, several days later, I got an email reminding me that it was ending soon and since it was now about £62 I thought I'd better get myself in the game!

When I logged on there was about 20 minutes of the auction remaining, and since the photos were so good the only question I really had was how 'midsize' was 'midsize', actually? With such a short time remaining I opted to Google the part number and was unreliably informed that the watch was 38mm in diameter. You can see where this is going can't you?

Quantum chemistry results, kept here for reference:
- - -
(1)
Molecular formula: C2H7NO2
Method: DFT, wB97M-V/def2-TZVPD

```
12
Properties=species:S:1:pos:R:3:nbo_charge:R:1
C 0.916 1.005 1.809 -0.72
C 1.262 1.168 0.317 0.71
N 0.181 0.531 -0.359 -0.92
O 2.209 1.771 -0.098 -0.52
H -0.064 1.470 1.889 0.22
H 0.935 -0.119 1.878 0.23
H 1.633 1.532 2.457 0.23
H -0.737 0.471 0.068 0.38
H 0.410 -0.448 -0.697 0.39
O -2.077 -2.786 -2.655 -0.92
H -1.731 -1.916 -2.395 0.46
H -2.939 -2.679 -2.213 0.46
```

SMILES: CC(N)=O.O
Highest occupied orbital energy (hartree): -0.3659
Frontier orbital gap (eV): 10.25
LUMO level (eV): 0.3
ΔE to the lowest compared entry with this formula, charge and spin (kJ/mol): 156.7


(2)
Molecular formula: C36H45ClN5NaO2Si
Method: DFT, wB97M-V/def2-TZVPD

```
91
Properties=species:S:1:pos:R:3:lowdin_charge:R:1
Na 0.349 0.117 -1.150 0.34
C -0.250 2.039 6.198 -0.08
C 0.201 1.352 4.935 -0.31
C 0.750 0.072 4.957 -0.08
C 1.141 -0.549 3.796 -0.04
C 1.015 0.049 2.515 -0.26
N 1.363 -0.623 1.403 0.09
C 2.491 -1.343 1.411 -0.27
C 3.643 -0.914 2.125 -0.03
C 4.829 -1.596 2.121 -0.06
C 4.975 -2.784 1.404 -0.31
C 6.270 -3.543 1.362 -0.08
C 3.874 -3.227 0.694 -0.01
C 2.670 -2.541 0.681 -0.14
N 1.643 -3.158 -0.074 -0.11
C 1.135 -4.375 0.197 -0.08
C 0.380 -4.753 -0.891 -0.08
C 0.502 -3.679 -1.781 -0.17
N 1.270 -2.734 -1.272 0.11
C 0.446 1.345 2.513 -0.12
C 0.055 1.957 3.695 0.00
N 0.294 2.099 1.336 -0.08
C 0.704 3.370 1.169 -0.07
C 0.243 3.783 -0.059 -0.05
C -0.442 2.676 -0.560 -0.15
N -0.411 1.672 0.298 0.06
H 0.347 1.720 7.055 0.06
H -1.297 1.800 6.412 0.07
H -0.167 3.122 6.097 0.07
H 0.881 -0.441 5.905 0.10
H 1.573 -1.541 3.840 0.11
H 3.559 0.012 2.674 0.11
H 5.671 -1.200 2.677 0.10
H 6.847 -3.395 2.275 0.06
H 6.886 -3.208 0.525 0.07
H 6.084 -4.609 1.233 0.06
H 3.943 -4.150 0.127 0.12
H 1.334 -4.869 1.129 0.12
H -0.181 -5.660 -1.009 0.08
H 0.065 -3.549 -2.751 0.09
H -0.362 2.957 3.644 0.12
H 1.315 3.864 1.898 0.12
H 0.395 4.734 -0.530 0.09
H -0.976 2.575 -1.483 0.10
O -2.068 0.406 -2.203 -0.33
O -0.860 -0.236 -2.700 -0.40
C -2.441 -2.202 -0.871 -0.11
Si -3.125 -0.800 -1.976 0.58
C -4.509 0.137 -0.983 -0.59
C -5.047 1.339 -1.755 -0.10
C -3.867 0.655 0.305 -0.09
C -5.682 -0.760 -0.600 -0.11
C -3.638 -1.620 -3.669 -0.58
C -2.364 -2.165 -4.311 -0.11
C -4.222 -0.586 -4.631 -0.10
C -4.629 -2.777 -3.517 -0.10
H -2.615 -3.188 -1.286 0.02
H -2.836 -2.193 0.139 0.02
H -1.368 -2.069 -0.804 0.01
H -4.223 1.951 -2.104 0.08
H -5.687 1.953 -1.115 0.07
H -5.636 1.022 -2.613 0.06
H -2.995 1.256 0.072 0.06
H -3.545 -0.167 0.937 0.07
H -4.577 1.266 0.869 0.08
H -6.246 -1.074 -1.477 0.06
H -6.368 -0.228 0.064 0.07
H -5.333 -1.650 -0.085 0.07
H -1.616 -1.380 -4.333 0.06
H -2.551 -2.533 -5.326 0.08
H -1.959 -2.972 -3.709 0.06
H -3.571 0.284 -4.668 0.08
H -5.217 -0.273 -4.318 0.06
H -4.302 -0.996 -5.642 0.07
H -4.263 -3.512 -2.803 0.06
H -4.776 -3.276 -4.478 0.07
H -5.598 -2.425 -3.169 0.06
Cl 3.159 3.975 -3.091 0.58
C 3.569 4.233 -1.404 -0.64
C 3.924 5.500 -1.036 -0.20
C 4.263 5.785 0.285 -0.19
C 4.245 4.731 1.203 -0.18
- - -
The quantum chemistry results stop here:

Yep, you guessed it... it's not 38mm and not even close - it's 32mm. Way too small for me of course, but I didn't know that... and so I placed a bid of £147 and eventually won the watch for £120. I should have known, and I did have a niggling doubt - but I was optimistic, at least until the watch arrived.

Don't get me wrong, it's a nice looking watch and the brown strap doesn't even bother me, in fact I think it goes perfectly with the cream dial and the gold links, and if it had in fact measured 38mm across the bezel then I would have been perfectly happy to pay £120 for it, in fact I would have been happy to pay double that... but, 32mm it is, and it looks very silly on my 7.3/4" wrist indeed.

Of course, the vendor doesn't accept returns, and they never disclosed a diameter so I'm stuck there and will have to try and sell it on myself. Part of me actually wants to keep it, but it's silly to keep something that I can't actually wear, I know £120 isn't a vast amount of money, but it's better spent on something I can actually wear and so I will be listing it very soon (because knowing my luck at the moment the battery will die before I can sell it!)

It has been nice to see it though, and it's really... I was going to say it's 'changed' my opinion, but that's not true - it's reinforced my belief that the strap versions of the S/ELs are actually quite cool. I'd prefer a bracelet everytime, but this looks a lot nicer than I thought it would - if only it were 37mm or more, I'd gladly wear it with pride!

Inserted here: records of molecules
-- begin --
ORCA calculation (wB97M-V/def2-TZVPD) on a molecular structure, C2H3NS2 in a non-equilibrium geometry.

```
8
Properties=species:S:1:pos:R:3:forces:R:3:nbo_charge:R:1
S 1.546 -1.675 -0.001 0.05 0.29 -0.02 0.274
S 3.659 0.642 -0.019 0.15 -0.07 -0.14 -0.018
N 0.883 0.586 0.167 2.84 -1.14 -0.30 -0.626
C 2.203 -0.027 0.013 -2.52 1.35 0.48 -0.132
C 0.073 -0.597 0.074 -0.63 -0.43 0.12 -0.320
H -0.514 -0.773 0.977 -0.03 -0.06 -0.08 0.207
H 0.657 1.503 -0.186 0.03 -0.03 -0.04 0.408
H -0.561 -0.687 -0.810 0.12 0.08 -0.01 0.206
```
Positions in Å, forces in eV/Å.

Calculated values
- strongest force on any atom (eV/A) = 3.07
- lowest unoccupied orbital energy (Eh) = 0.0182
- orbital gap (eV) = 9.36
- total charge = 0

----------

1.
The following is a quantum chemistry calculation of C24H31HgIN2O as an isolated structure at a distorted geometry, from the Open Molecules 2025 dataset.

Results
E_LUMO (spin up / spin down) = -2.894 / -2.894 eV
HOMO (spin up / spin down) = -0.189 / -0.189 Eh

XYZ file:
```
60
Properties=species:S:1:pos:R:3:forces:R:3:nbo_charge:R:1
C 0.1193 -2.6772 0.4137 -0.477 -1.289 -3.896 -0.6176
C -0.3177 -1.9369 1.5682 -3.009 1.898 2.474 -0.6034
H -0.7848 -2.9972 -0.2393 0.942 0.335 0.397 0.1081
H 0.5769 -3.6308 0.6206 0.359 -0.228 0.280 0.2213
H 0.7763 -2.0972 -0.2546 -0.256 -0.127 0.364 0.2947
H -1.4650 -1.7844 1.6119 0.712 -0.105 -0.364 0.1081
H -0.2212 -2.5188 2.4734 0.548 0.249 0.513 0.2207
H 0.0129 -0.8853 1.6582 0.405 -0.735 -0.064 0.2736
C -2.0414 -1.6886 -3.1484 -0.234 -0.343 -0.372 0.0646
C -2.5804 -1.5177 -4.4384 -0.612 0.806 1.330 -0.2393
C -3.7183 -0.6921 -4.5343 0.387 0.055 1.173 -0.1440
C -4.2236 -0.0470 -3.3777 1.485 -0.739 0.633 -0.2126
H -1.1802 -2.3368 -2.9582 -0.276 0.145 -0.266 0.2138
H -2.1376 -2.0324 -5.2757 -0.054 0.099 -0.138 0.2378
H -4.1920 -0.5333 -5.4829 -0.205 0.019 -0.292 0.2277
H -5.0754 0.6031 -3.3315 -0.205 0.091 -0.753 0.2179
N -2.5538 -1.1389 -2.0516 -0.198 0.370 0.175 -0.4900
C -3.5725 -0.2601 -2.1377 -0.088 -0.891 -1.510 0.1601
C -4.0024 0.3948 -0.8775 -0.626 0.129 1.069 0.1585
N -3.3136 0.0684 0.2292 -0.145 0.567 0.561 -0.4914
C -3.5800 0.7049 1.3938 -0.091 -0.746 -1.041 0.0666
C -5.4488 1.8712 0.4369 1.593 -1.431 -1.204 -0.1361
C -4.6330 1.5980 1.5461 -0.297 0.211 -0.350 -0.2473
H -2.9233 0.4207 2.2091 -0.163 0.111 0.089 0.2135
H -4.8208 2.0471 2.5230 0.050 -0.075 -0.373 0.2373
C -5.1099 1.2529 -0.8088 0.449 0.291 1.291 -0.2104
H -5.6555 1.3965 -1.7248 -0.379 0.426 0.194 0.2167
H -6.2763 2.5382 0.4959 -0.502 0.319 0.086 0.2289
Hg -3.1082 -2.5617 0.1057 1.099 1.077 -0.150 1.1185
I -5.5233 -3.2797 -0.3515 -0.530 -0.325 -0.016 -0.4304
C 2.8040 -2.2847 2.4495 -0.094 -0.148 -0.587 -0.5939
C 3.8956 -1.7464 1.5064 0.189 -0.049 0.160 -0.2248
C 3.8601 -2.4857 0.1587 -0.026 0.211 -0.237 -0.6083
C 3.8479 -0.2256 1.3546 -1.507 -0.202 -0.510 -0.1398
C 4.8017 0.5605 1.9234 1.517 -1.295 0.502 -0.2030
C 4.7832 1.9275 1.8358 0.142 2.427 -0.321 -0.3092
C 3.7143 2.6172 1.1814 0.056 -1.762 0.353 -0.1581
-- stop --
The article goes on

I have a friend with a (just under) 7" wrist and this watch looks surprisingly good on him, I think this style lends itself to being undersized, just not this undersized when you have a 7.3/4" wrist. Oh well, I guess this is another one that gets put down to experience... I shouldn't think I'll lose too much on it, I might even break even - worst case scenario I'll keep it and give it to my wife!

This is a picture of the watch on my friend's wrist, I think it looks great... I just wish it looked like this on my wrist, but sadly it doesn't.
